(1)
DyPaOs: computed powder diffractogram (Cu Kα, 1.54184 Å), based on a DFT-relaxed cell (GGA-PBE, Alexandria).

```
data_DyPaOs
_cell_length_a 4.1843
_cell_length_b 4.1843
_cell_length_c 15.6451
_cell_angle_alpha 90.00
_cell_angle_beta 90.00
_cell_angle_gamma 120.00
_space_group_name_H-M_alt 'R 3 m'
_space_group_IT_number 160
_space_group_name_Hall 'R 3 -2"'
loop_
_atom_site_label
_atom_site_fract_x
_atom_site_fract_y
_atom_site_fract_z
_atom_site_occupancy
Dy1 0.0000 0.0000 0.0000 1
Pa1 0.0000 0.0000 0.5077 1
Os1 0.0000 0.0000 0.7688 1
```

Principal peaks in the range 2θ = 10–90°, low angle first:
- 2θ 17.0, 5.215 Å, I 20
- 2θ 25.2, 3.530 Å, I 27
- 2θ 27.1, 3.288 Å, I 23
- 2θ 33.7, 2.658 Å, I 100
- 2θ 38.0, 2.368 Å, I 10
- 2θ 43.2, 2.092 Å, I 53
- 2θ 53.2, 1.721 Å, I 25
- 2θ 55.9, 1.644 Å, I 24
- 2θ 70.9, 1.329 Å, I 11
- 2θ 73.2, 1.293 Å, I 22
- 2θ 86.8, 1.122 Å, I 13
- 2θ 88.3, 1.106 Å, I 11



(2)
DyPaTcOs: computed powder diffractogram (Cu Kα, 1.54184 Å), based on a DFT-relaxed cell (GGA-PBE, Alexandria).

```
data_DyPaTcOs
_cell_length_a 6.8689
_cell_length_b 6.8689
_cell_length_c 6.8689
_cell_angle_alpha 90.00
_cell_angle_beta 90.00
_cell_angle_gamma 90.00
_space_group_name_H-M_alt 'F -4 3 m'
_space_group_IT_number 216
_space_group_name_Hall 'F -4 2 3'
loop_
_atom_site_label
_atom_site_fract_x
_atom_site_fract_y
_atom_site_fract_z
_atom_site_occupancy
Dy1 0.0000 0.0000 0.0000 1
Pa1 0.0000 0.0000 0.5000 1
Tc1 0.2500 0.2500 0.7500 1
Os1 0.2500 0.2500 0.2500 1
```

Principal peaks in the range 2θ = 10–90°, low angle first:
- 2θ 22.4, 3.966 Å, I 6
- 2θ 25.9, 3.434 Å, I 3
- 2θ 37.0, 2.429 Å, I 100
- 2θ 43.7, 2.071 Å, I 3
- 2θ 45.8, 1.983 Å, I 1
- 2θ 53.4, 1.717 Å, I 18
- 2θ 58.6, 1.576 Å, I 1
- 2θ 60.3, 1.536 Å, I 1
- 2θ 66.7, 1.402 Å, I 36
- 2θ 71.3, 1.322 Å, I 1
- 2θ 78.8, 1.214 Å, I 11
- 2θ 83.2, 1.161 Å, I 1



(3)
PrDy2Os: computed powder diffractogram (Cu Kα, 1.54184 Å), based on a DFT-relaxed cell (GGA-PBE, Alexandria).

```
data_PrDy2Os
_cell_length_a 7.4802
_cell_length_b 9.1744
_cell_length_c 6.4576
_cell_angle_alpha 90.00
_cell_angle_beta 90.00
_cell_angle_gamma 90.00
_space_group_name_H-M_alt 'P n m a'
_space_group_IT_number 62
loop_
_space_group_symop_operation_xyz
'x,y,z'
'-x,-y,-z'
'-x+1/2,-y,z+1/2'
'x+1/2,y,-z+1/2'
'x+1/2,-y+1/2,-z+1/2'
'-x+1/2,y+1/2,z+1/2'
'-x,y+1/2,-z'
'x,-y+1/2,z'
loop_
_atom_site_label
_atom_site_fract_x
_atom_site_fract_y
_atom_site_fract_z
_atom_site_occupancy
Pr1 0.0399 0.2500 0.1300 1
Dy1 0.1741 0.0651 0.6645 1
Os1 0.1154 0.7500 0.4459 1
```

Principal peaks in the range 2θ = 10–90°, low angle first:
- 2θ 29.3, 3.052 Å, I 32
- 2θ 30.1, 2.964 Å, I 30
- 2θ 30.8, 2.899 Å, I 49
- 2θ 31.7, 2.821 Å, I 92
- 2θ 32.4, 2.764 Å, I 52
- 2θ 33.9, 2.643 Å, I 100
- 2θ 34.6, 2.593 Å, I 74
- 2θ 36.1, 2.490 Å, I 39
- 2θ 38.0, 2.365 Å, I 78
- 2θ 38.7, 2.326 Å, I 39
- 2θ 40.0, 2.255 Å, I 31
- 2θ 48.3, 1.886 Å, I 29

~~~~~

# ZnFePO5
Calculated PXRD pattern, a wavelength of 1.5418 Å. Input: a cell relaxed with GGA+U.

Cell: 5.469 5.487 7.209 Å, 107.90 107.88 95.32°
Element x y z (fractional)
Zn: 0.000 0.000 0.000
Zn: 0.384 0.650 0.511
Fe: 0.681 0.318 0.232
Fe: 0.685 0.314 0.731
P: 0.028 0.956 0.479
P: 0.332 0.670 0.981
O: 0.026 0.614 0.866
O: 0.333 0.025 0.603
O: 0.384 0.974 0.097
O: 0.407 0.525 0.135
O: 0.477 0.605 0.823
O: 0.594 0.401 0.481
O: 0.770 0.230 0.982
O: 0.873 0.024 0.627
O: 0.956 0.091 0.315
O: 0.989 0.652 0.372

Top 10 peaks for 10° ≤ 2θ ≤ 80°, by intensity:
| h k l | Position (°2θ) | Rel. int. |
| --- | --- | --- |
| 1 1 0 | 27.1 | 1000 |
| 1 -2 0 | 36.0 | 269 |
| 1 -1 2 | 35.7 | 118 |
| 1 1 -4 | 50.7 | 86 |
| 3 0 0 | 54.0 | 83 |
| 2 0 2 | 53.2 | 77 |
| 0 1 -1 | 18.0 | 76 |
| 1 2 -2 | 39.4 | 72 |
| 0 3 0 | 53.8 | 69 |
| -2 1 4 | 63.2 | 68 |

~~~~~

This entry pairs a crystal structure of TeMoSeS2Br with its calculated X-ray powder pattern. Radiation: Cu Kα (weighted mean of Kα1 and Kα2). Structure: a crystal structure in OQMD, relaxed with GGA-PBE.

```
12

Please return everything further up without additions.

(1)
DyPaOs: computed powder diffractogram (Cu Kα, 1.54184 Å), based on a DFT-relaxed cell (GGA-PBE, Alexandria).

```
data_DyPaOs
_cell_length_a 4.1843
_cell_length_b 4.1843
_cell_length_c 15.6451
_cell_angle_alpha 90.00
_cell_angle_beta 90.00
_cell_angle_gamma 120.00
_space_group_name_H-M_alt 'R 3 m'
_space_group_IT_number 160
_space_group_name_Hall 'R 3 -2"'
loop_
_atom_site_label
_atom_site_fract_x
_atom_site_fract_y
_atom_site_fract_z
_atom_site_occupancy
Dy1 0.0000 0.0000 0.0000 1
Pa1 0.0000 0.0000 0.5077 1
Os1 0.0000 0.0000 0.7688 1
```

Principal peaks in the range 2θ = 10–90°, low angle first:
- 2θ 17.0, 5.215 Å, I 20
- 2θ 25.2, 3.530 Å, I 27
- 2θ 27.1, 3.288 Å, I 23
- 2θ 33.7, 2.658 Å, I 100
- 2θ 38.0, 2.368 Å, I 10
- 2θ 43.2, 2.092 Å, I 53
- 2θ 53.2, 1.721 Å, I 25
- 2θ 55.9, 1.644 Å, I 24
- 2θ 70.9, 1.329 Å, I 11
- 2θ 73.2, 1.293 Å, I 22
- 2θ 86.8, 1.122 Å, I 13
- 2θ 88.3, 1.106 Å, I 11



(2)
DyPaTcOs: computed powder diffractogram (Cu Kα, 1.54184 Å), based on a DFT-relaxed cell (GGA-PBE, Alexandria).

```
data_DyPaTcOs
_cell_length_a 6.8689
_cell_length_b 6.8689
_cell_length_c 6.8689
_cell_angle_alpha 90.00
_cell_angle_beta 90.00
_cell_angle_gamma 90.00
_space_group_name_H-M_alt 'F -4 3 m'
_space_group_IT_number 216
_space_group_name_Hall 'F -4 2 3'
loop_
_atom_site_label
_atom_site_fract_x
_atom_site_fract_y
_atom_site_fract_z
_atom_site_occupancy
Dy1 0.0000 0.0000 0.0000 1
Pa1 0.0000 0.0000 0.5000 1
Tc1 0.2500 0.2500 0.7500 1
Os1 0.2500 0.2500 0.2500 1
```

Principal peaks in the range 2θ = 10–90°, low angle first:
- 2θ 22.4, 3.966 Å, I 6
- 2θ 25.9, 3.434 Å, I 3
- 2θ 37.0, 2.429 Å, I 100
- 2θ 43.7, 2.071 Å, I 3
- 2θ 45.8, 1.983 Å, I 1
- 2θ 53.4, 1.717 Å, I 18
- 2θ 58.6, 1.576 Å, I 1
- 2θ 60.3, 1.536 Å, I 1
- 2θ 66.7, 1.402 Å, I 36
- 2θ 71.3, 1.322 Å, I 1
- 2θ 78.8, 1.214 Å, I 11
- 2θ 83.2, 1.161 Å, I 1



(3)
PrDy2Os: computed powder diffractogram (Cu Kα, 1.54184 Å), based on a DFT-relaxed cell (GGA-PBE, Alexandria).

```
data_PrDy2Os
_cell_length_a 7.4802
_cell_length_b 9.1744
_cell_length_c 6.4576
_cell_angle_alpha 90.00
_cell_angle_beta 90.00
_cell_angle_gamma 90.00
_space_group_name_H-M_alt 'P n m a'
_space_group_IT_number 62
loop_
_space_group_symop_operation_xyz
'x,y,z'
'-x,-y,-z'
'-x+1/2,-y,z+1/2'
'x+1/2,y,-z+1/2'
'x+1/2,-y+1/2,-z+1/2'
'-x+1/2,y+1/2,z+1/2'
'-x,y+1/2,-z'
'x,-y+1/2,z'
loop_
_atom_site_label
_atom_site_fract_x
_atom_site_fract_y
_atom_site_fract_z
_atom_site_occupancy
Pr1 0.0399 0.2500 0.1300 1
Dy1 0.1741 0.0651 0.6645 1
Os1 0.1154 0.7500 0.4459 1
```

Principal peaks in the range 2θ = 10–90°, low angle first:
- 2θ 29.3, 3.052 Å, I 32
- 2θ 30.1, 2.964 Å, I 30
- 2θ 30.8, 2.899 Å, I 49
- 2θ 31.7, 2.821 Å, I 92
- 2θ 32.4, 2.764 Å, I 52
- 2θ 33.9, 2.643 Å, I 100
- 2θ 34.6, 2.593 Å, I 74
- 2θ 36.1, 2.490 Å, I 39
- 2θ 38.0, 2.365 Å, I 78
- 2θ 38.7, 2.326 Å, I 39
- 2θ 40.0, 2.255 Å, I 31
- 2θ 48.3, 1.886 Å, I 29

~~~~~

# ZnFePO5
Calculated PXRD pattern, a wavelength of 1.5418 Å. Input: a cell relaxed with GGA+U.

Cell: 5.469 5.487 7.209 Å, 107.90 107.88 95.32°
Element x y z (fractional)
Zn: 0.000 0.000 0.000
Zn: 0.384 0.650 0.511
Fe: 0.681 0.318 0.232
Fe: 0.685 0.314 0.731
P: 0.028 0.956 0.479
P: 0.332 0.670 0.981
O: 0.026 0.614 0.866
O: 0.333 0.025 0.603
O: 0.384 0.974 0.097
O: 0.407 0.525 0.135
O: 0.477 0.605 0.823
O: 0.594 0.401 0.481
O: 0.770 0.230 0.982
O: 0.873 0.024 0.627
O: 0.956 0.091 0.315
O: 0.989 0.652 0.372

Top 10 peaks for 10° ≤ 2θ ≤ 80°, by intensity:
| h k l | Position (°2θ) | Rel. int. |
| --- | --- | --- |
| 1 1 0 | 27.1 | 1000 |
| 1 -2 0 | 36.0 | 269 |
| 1 -1 2 | 35.7 | 118 |
| 1 1 -4 | 50.7 | 86 |
| 3 0 0 | 54.0 | 83 |
| 2 0 2 | 53.2 | 77 |
| 0 1 -1 | 18.0 | 76 |
| 1 2 -2 | 39.4 | 72 |
| 0 3 0 | 53.8 | 69 |
| -2 1 4 | 63.2 | 68 |

~~~~~

This entry pairs a crystal structure of TeMoSeS2Br with its calculated X-ray powder pattern. Radiation: Cu Kα (weighted mean of Kα1 and Kα2). Structure: a crystal structure in OQMD, relaxed with GGA-PBE.

```
12